Sai Baba Blessed Devotee With A Job Offer

Anonymous Shirdi Sai Devotee from the US says: Have enormous faith and patience in Baba, you will be filled with happiness.
I’ve been a huge Baba devotee from the USA for about nine years. With Baba’s grace I have been blessed with good family, friends and a job, but for the last three years I have been thinking about the jobs because I’m really not happy about my current job and my manager. I started my career search in 2019 and I took all measures to get into a good company. But for some reason I used to get distracted easily and my preparations were always on and off.
During the pandemic, I was stuck here because no one is ready to take H1 B candidates. So I utilized that time for preparation and did a few certifications. Whenever I feel depressed, I used to chant “OM Sairam.” Slowly things got better and I started applying for jobs back in 2020. Yet the interviews were harder to clear but in a couple of companies, I got an offer. Due to my bad luck they failed to release the offer due to the pandemic. I was left out with huge disappointment. Then I went to India to get rid of this job pressure for two months, took a short break and got refreshed. After coming again, I started giving a lot of interviews, ended up with rejections again, but I didn’t leave my hope in Baba. I had complete faith and patience in my whole job search.
I used to ask this question to myself, why is this process taking too long and why Baba is not blessing me with a better job? The answer is “Something better is waiting for you.” Kept giving interviews. Finally last month I got an offer in FAANG. I feel really happy and blessed to join my dream company. I can’t really express my happiness. It’s definitely Sai Baba’s plan. He made me fail in all small companies, allowed me to gain experience in all my failures and that helped me to get a FAANG offer.
Please all wish me good luck and pray for my new beginning. If I can do this then you can also do it! Dear devotees, do your portion, work hard for what you want (no compromise in that) and then leave the rest to Baba. Have immense faith, patience and trust in Baba. Om Sairam! Thanks for the opportunity.
Sai Loves Humility And Kindness

Anonymous Shirdi Sai Devotee from the USA says: I am a Sai devotee from California. Sai Baba would like His devotees to always be humble and kind. This has always been my experience. I can feel Sai Baba’s love and support and in return He only wants us to follow good karma.
I am a firm believer of karma. However, these days, the society is such that humility and kindness is seen as a weakness. Unfortunately, when I was going through a difficult time, I blamed things and people and was very, very depressed. Then one day, I sat down and thought hard about all the things that were going wrong. I realized that all those things that were going wrong are the things that I was feeling arrogant and ungrateful about. Because of my depression, I was talking bad about people. Whatever I talked bad about happened to me. I faced my karma. Sai Baba made me realize the importance of humility and kindness and forgiveness. I am working on myself now.
When a bad thought comes to mind, I ask for Sai’s forgiveness and try to distract myself by chanting Sai mantras. Sai Baba, please bless us. Show us the route to kindness, humility and forgiveness and give us peace of mind, good health and love. Please protect all the vulnerable children in the world. Om Sai Param Sukhdai Namah! Sai loves humility and kindness in His devotees.
Thanks To Sai Baba

Anonymous Shirdi Sai Devotee from Canada says: Greetings from Canada! Sai our omnipresent God. Thank You Sai from the bottom of my heart. I can’t thank You enough; You are giving me whatever I ask or need. Thanks to the Saiyug network team as well for maintaining this wonderful platform. My daughter finished her law degree and now wrote her bar licensing exam. My daughter was feeling nervous and restless while waiting for the result. I prayed to Baba to help my daughter to pass her bar exam so that I could share my experience.
I am very grateful for having Sai Baba in my life. My day begins with His name and ends with His name daily. I am so blessed and proud to be a Sai devotee. Baba, aise hee apni kirpa banaaya rekhna (Baba, always keep showering Your grace like this only) . Thanks Baba. Koti Koti pranam. Om Sairam! Anantkoti Parbrahma Shri Sachidananda Sadguru Sai Nath Maharaj Ki Jai.
Sai Is The Best Teacher

Anonymous Shirdi Sai Devotee from the US says: Hi! Today Sai Baba had me play one bhajan that was showing Sathya Sai Baba. I don’t think I knew much about Him before. Today I learnt that He is a reincarnation of Shirdi Sai Baba. I saw in the Bhajan that He was helping others.
I searched Sathya Sai Baba and I learnt from there that He is the second incarnation of Shirdi Sai Baba. I also learnt some more about Him and His family on . I have a picture that shows Shirdi Sai Baba and Sathya Sai Baba and Prema Sai Baba. Before I don’t think I knew Prema Sai Baba or knew much about Sathya Sai Baba but now I know something about Them. Thank You Sai Baba for changing my life. Sathya Sai Baba said that Prema Sai Baba would be the 3rd and final incarnation of Shirdi Sai Baba. Thank You Sai baba for teaching me.
Sai Baba Blessed Devotees

Shirdi Sai Devotee Ritesh from India says: Dear Team Members, I have been a devotee of Sai Baba for many years and also a daily reader of this blog. I wish to share one of my experiences that I had recently.
Due to this pandemic situation I resigned from my current job and moved to my hometown to stay with my family. I was worried that due to short notice, acceptance of my resignation shall not be smooth. I prayed to Baba and made a wish that if acceptance to my resignation is smooth, then I shall post my experience here. And need not mention that the whole process went smoothly. I am quite sure that by Babaji’s blessing my relieving and exit would also be smooth.
Miracle Of Sai Baba

(Misplaced calculated molecules)
+++
Record 1
{
  "formula": "C5H9O3",
  "method": "wB97M-V/def2-TZVPD",
  "mol_weight_g_mol": 117.1,
  "s2": 0.7751,
  "multiplicity": 2,
  "homo_ev": [-8.87, -9.02],
  "energy_ev": -11457.2465,
  "charge": 0,
  "lumo_energy_ev": [-5.08, -5.09],
  "species": ["O", "C", "O", "C", "C", "C", "C", "O", "H", "H", "H", "H", "H", "H", "H", "H", "H"],
  "xyz": [[0.96588, 1.80435, -2.67890], [1.12012, 1.10442, -1.57906], [-2.18071, -1.88096, -1.14111], [0.03548, 0.08127, -1.13403], [0.27147, -0.21736, 0.25243], [-0.96844, -0.66076, 1.03059], [-0.13769, 0.67186, 1.21835], [1.74170, 0.27269, 2.99811], [-0.97278, 0.54371, -1.30628], [2.06608, 0.44134, -1.62758], [-0.70843, -1.66014, 1.40124], [1.97850, 0.60944, 3.86271], [-2.93031, -2.16619, -1.61130], [1.07232, 1.77236, -0.63377], [-1.89313, -0.62432, 0.47216], [0.46928, 0.75072, 2.19111], [0.07065, -0.84242, -1.71468]],
  "forces_ev_per_a": [[-0.11, -0.03, -0.41], [0.56, -0.39, 1.98], [1.98, 1.50, 1.09], [0.03, -1.80, -2.35], [-2.53, 5.34, 0.09], [-0.20, -1.33, 0.06], [2.04, -5.04, -0.53], [-1.29, 0.21, -1.66], [0.38, -0.39, 0.30], [-0.64, 1.49, 0.08], [-0.91, 0.69, 1.83], [-0.20, 0.16, 0.38], [-1.66, -0.95, -0.97], [1.08, -0.12, -1.30], [0.03, -0.17, -0.48], [1.60, 0.62, 2.15], [-0.17, 0.21, -0.28]]
}



Record 2
{
  "formula": "C5H9O3Zn",
  "method": "wB97M-V/def2-TZVPD",
  "mol_weight_g_mol": 182.5,
  "s2": 0.7513,
  "multiplicity": 2,
  "homo_ev": [-6.88, -9.30],
  "energy_ev": -59889.3701,
  "charge": 0,
  "lumo_energy_ev": [0.67, -0.12],
  "species": ["O", "C", "O", "C", "C", "H", "C", "H", "H", "H", "C", "H", "H", "H", "H", "H", "Zn", "O"],
  "xyz": [[1.06815, 1.80149, -0.60165], [0.57530, 0.72678, -0.24850], [-0.62580, 0.45797, -0.69140], [-1.64589, -0.11597, 0.15729], [1.40760, -0.42601, 0.46818], [0.73627, -1.04526, 1.09289], [2.20389, -1.30111, -0.49893], [1.64311, -2.18489, -0.83165], [2.46595, -0.74459, -1.40939], [3.12035, -1.63596, 0.00777], [-2.91901, 0.66362, -0.05041], [-1.30508, -0.05193, 1.19919], [-1.77795, -1.17178, -0.10351], [-2.90088, 1.60714, 0.50947], [-3.76210, 0.06115, 0.31307], [-3.07993, 0.87786, -1.11504], [2.64250, 2.05043, 0.54718], [2.15354, 0.43110, 1.25545]],
  "forces_ev_per_a": [[-1.01, -0.86, -0.14], [0.15, -1.83, -1.58], [-1.13, 0.52, -0.26], [0.32, -0.44, 0.31], [-0.74, 2.72, 0.36], [0.10, 0.18, -0.28], [-0.11, -0.02, -0.45], [0.03, 0.19, 0.18], [0.18, -0.06, 0.29], [-0.31, 0.19, -0.11], [-0.35, 0.11, 0.07], [-0.15, -0.10, -0.23], [0.12, 0.18, -0.05], [0.00, -0.18, -0.25], [0.14, 0.20, -0.06], [0.07, -0.10, 0.30], [1.54, 1.26, 0.36], [1.15, -1.96, 1.52]]
}



Record 3
{
  "formula": "C5H9O5S",
  "method": "wB97M-V/def2-TZVPD",
  "mol_weight_g_mol": 181.2,
  "homo_ev": -3.02,
  "energy_ev": -26401.7268,
  "charge": -1,
  "lumo_energy_ev": 3.83,
  "species": ["C", "C", "C", "C", "C", "O", "O", "O", "O", "O", "S", "H", "H", "H", "H", "H", "H", "H", "H", "H"],
+++

Anonymous Shirdi Sai Devotee from the US says: I want to share miracles related to tax issues.
I had submitted an amended form for my tax return. The IRS had received it and had not processed it for many months. I started feeling stressed that I will have to pay a substantial amount to the IRS during a crunch. I promised Sai Baba that I would light the Diya for Him for 21 days at the temple and just after lighting the Diya for four days my issue got resolved. When I called the IRS I was told that they had processed my paperwork. I am continuing to light the Diya and complete 21 days. Jai Sai Ram Jai Sai Ram Jai Sai Ram!
© Shirdi Sai Baba – Member of
Baba please bless help and save my parents saima please hold my father sai protect him baba cure him baba cure my mother make him to stop his drinking and smoking habit baba we are at the verge please help baba sairakshak saisaranam ayyappa
Baba please bless me and heal me. You know I got discovered with thyroid please cure my disease snd help me loose weight. I promise to improve my diet and eat clean. Baba only you can cure me please forgive me and help me get some positive hope when I talk to the doctor. Baba you are the only one who truly care about me. I’m extremely sorry for my sins and bad behaviour. Baba please reduce my karmas and bless me with health so that I can support my family, husband and parents and have kids. Sai please please please listen to me. Help me loose weight.
Om Sai Ram!
Thank you sai Ma. Please help me to see only the positive and be happy. I don’t want to worry of tomorrow. Om sai ram